Learning Blast: Persist and Learn from Failure

When engineers design and test a prototype, oftentimes it doesn’t perform as expected. These failed attempts are a normal part of a systematic engineering design process. A successful solution to an engineering problem is often reached only after persisting through many attempts. Such “failures” help engineers understand their problems better, as well as the limits of the materials. As engineers try and fail to solve a problem, they learn many useful things.  

For many of us, “failure” has negative connotations, and we feel like it should be avoided. Engineering experiences that involve iteration or multiple cycles of design, building, and testing can show youth that not only is failure often unavoidable, but that it can be helpful in problem-solving. Such experiences can teach youth to persist through failure and learn from it. 

 “I would like to be remembered as someone who was not afraid to do what she wanted to do, and as someone who took risks along the way in order to achieve her goals.”
Sally Ride

As you watch the video, think about this:

  • How do the facilitators respond when the machines youth created don’t work? Notice how they talk about the failure.  
  • Listen for strategies you can use to help youth when they experience failure.
  • Look for strategies that encourage perseverance. 

Watch the video:

Share what you noticed:

Here the entry breaks off for crystal structures =
~~~
No. 1
This record from Alexandria describes a geometry-optimized NdSmTeCl structure. The functional is PBE.

Results
The calculation puts the energy at -4.900 eV/atom. Its total magnetization is 0.00 μB/f.u. The calculation puts the formation energy without anion corrections at -124 kJ per mole of atoms.

```
NdSmTeCl
1.0
-2.568 -0.576 -4.581
2.710 -0.788 -4.466
-0.137 -4.717 -2.377
Te Sm Nd Cl
1 1 1 1
Direct
0.000 0.000 0.000
0.250 0.250 0.250
0.750 0.750 0.750
0.500 0.500 0.500
```

=====

No. 2
This record from Alexandria describes a geometry-optimized NdSnCl2 structure. The functional is PBE.

Results
The calculation puts the energy at -4.075 eV/atom. Its total magnetization is 0.00 μB/f.u. The calculation puts the formation energy without anion corrections at -93 kJ per mole of atoms.

```
NdSnCl2
1.0
-2.999 -4.016 -0.864
1.861 -4.711 0.465
-1.694 -2.956 4.648
Cl Nd Sn
2 1 1
Direct
0.308 0.308 0.075
0.692 0.692 0.925
0.000 0.000 0.000
0.500 0.500 0.500
```
~~~
So much for the crystal structures =

  • What did you notice in the video?
  • What strategies did you notice the facilitators using to encourage youth? 

What we know:

The lubricant WD-40 is so named because it was an engineer’s fortieth attempt at creating a formula for water displacement. He understood that persisting through failure is an essential part of generating innovative solutions.

Engineering designs may “fail” by not meeting required criteria or constraints. In such cases, engineers analyze why the design did not perform as expected. They make changes, then test and evaluate their solution again. Through multiple cycles of testing, failure, and re-design, they learn how to use each failure as an opportunity to improve subsequent designs.  

Once engineers create a successful solution that meets their specified requirements, they may employ failure in another way—by creating computer or physical models that test a particular design’s outer limits to understand conditions in which it might fail. Testing for failure – pushing a design beyond its real-world constraints helps engineers develop even more robust solutions.  

For example, after designing a bridge, engineers might use computer models to understand how much weight it could support before collapsing. Testing to the point of failure allows engineers to define parameters and make predictions about how their solution will perform in extreme conditions. 

“Failure is central to engineering. Every single calculation that an engineer makes is a failure calculation. Successful engineering is all about understanding how things break or fail.” Henry Petroski

What you know:

Think about a time when you were able to learn from a failure.  What happened?  How did you feel?  

It is important to support youth in developing positive experiences with failing in engineering activities by providing time and supplies to test, evaluate, and improve their designs. Including a distinct phase of the design process to “improve” or “iterate” helps youth understand that their first idea may not work, but that they will have an opportunity to change their design and try again.   

This can be very liberating. To make this work, you must allow enough time for youth to design and test their ideas. With well-designed learning experiences, educators can use engineering activities to destigmatize failure by re-orienting youth toward a mindset of persisting through the failed attempt and learning from it. With your support and encouragement, youth can come to accept, expect, embrace, and even celebrate failure as part of the problem-solving process.

Key Take-Away:

Engineers learn from failure to revise and improve their designs. This requires perseverance and improvement through multiple iterations. If we want youth to learn to persist through failure and learn from it, we need to provide many positive opportunities to do so.


  • What do you remember about failing when you were young?  What did the adults around you do to make you feel safe enough to try again? 
  • What can you include, as you plan activities, so that youth can experience failure and learn to persist through and learn from it? 

Developed in collaboration with Christine M. Cunningham.  These practices are also more fully described in educational research articles, such as Cunningham & Kelly (2017).